Setting Sail

HAVING OBTAINED A small but seaworthy vessel, with a scratch crew of professional physicists and curious amateurs, we set sail. The hold contains provisions, a mix of scientific equipment and a guitar. We have some theories to test, and we need data. We hope, like Darwin on the voyage of the Beagle, to find that we will be improved by a journey to distant countries.

We enter the mysterious seascape of the invisibly small from the west. On our map, the western fringes are objects at a human scale. As we sail eastwards we will shrink further, gazing from the bows of our boat into the heart of matter, mapping the otherwise invisible.

Most things are made of smaller things. Our boat is made of wood, metal, fibreglass. It doesn’t take much effort to see that these materials are themselves made of smaller stuff: splinters of wood, glass fibres, plastic. The glass fibre strands, the thickness of cotton thread, are made of silica. Each one of these strands is made of silicon atoms bound to oxygen atoms, with two atoms of oxygen for each of silicon – silicon dioxide. A silicon atom is a billion times smaller than the thickness of the thread. If each silicon atom were the size of one of the peas in the ship’s galley, the fibres would have a diameter close to that of the Earth.

Each atom consists of a nucleus surrounded by fourteen electrons, each with a negative electric charge. The nucleus has a positive electric charge of fourteen times that of the electron, which is why fourteen electrons are attracted to it. That is a familiar kind of configuration. The solar system has eight planets (and some rocks and rejects) in orbit around the central sun. It is tempting to picture the silicon atom as a tiny Solar System, with fourteen little electron-planets orbiting the nucleus. But as we will discover, electrons are not little planets, they are in reality something quite new and different.

• Quantum chemistry results, kept here for reference:
# 1
The following is a quantum chemistry calculation of the molecule C6H8O2 in a non-equilibrium geometry, from OMol25.

Frontier orbital gap in eV: 9.32
HOMO energy in eV: -9.003
LUMO level in eV: 0.32

Structure (ORCA input):
```
! RIJCOSX wB97M-V def2-TZVPD def2/J DEFGRID3
* xyz 0 1
C -1.46582 -1.25715 0.17488
C -0.27857 -0.38012 -0.21241
C -0.54830 1.02841 -0.08669
C -1.83761 1.45640 -0.03899
C 0.93618 -0.73077 -0.34215
C 2.07372 0.25344 -0.00001
H -1.11608 -2.28318 0.46301
H -1.74466 -0.91240 1.20637
H -2.37923 -1.32382 -0.42662
H 0.45923 1.56877 -0.08504
H -2.22958 2.53234 -0.02474
H -2.42133 0.58017 -0.25077
H 1.31213 -1.73131 -0.72175
H 3.89199 0.16519 0.22214
O 3.20380 -0.41805 0.05484
O 2.14412 1.45207 0.06794
*
```

=====

# 2
The following is a quantum chemistry calculation of a structure of composition C7H13NO in a non-equilibrium geometry, from OMol25.

Frontier orbital gap in eV: 8.24
HOMO energy in eV: -7.485
LUMO level in eV: 0.76

Structure (ORCA input):
```
! RIJCOSX wB97M-V def2-TZVPD def2/J DEFGRID3
* xyz 0 1
C -0.08639 1.59993 1.45442
C -0.26376 0.20155 0.96154
C 1.11717 -0.39992 0.91308
C 1.57854 0.58803 -0.50563
C -0.68249 0.04703 -0.59260
C -0.70917 -1.57665 -0.89591
C -1.62493 0.01659 0.49314
H -0.65979 1.67200 2.37141
H 0.93127 1.97117 1.57848
H -0.49307 2.37341 0.89708
H 1.08203 -1.37670 0.57228
H 1.80412 -0.21389 1.67121
H 2.01897 -0.13559 -1.04456
H 2.43789 1.29853 -0.33507
H 0.09276 0.77913 -2.10119
H -0.26290 -1.99399 0.14177
H -2.05512 -1.73410 -0.93437
H -0.21967 -2.50960 -2.56489
H -2.00740 1.11294 0.55313
H -2.29710 -0.85125 0.48444
N 0.20209 0.90359 -1.06822
O 0.09696 -1.77222 -2.04954
*
```

=====

# 3
The following is a quantum chemistry calculation of a cluster of 8 separate species, C30H58Cl14NO2 in total in a non-equilibrium geometry, from OMol25.

Frontier orbital gap (spin up / spin down) in eV: 8.56 / 9.19
HOMO energy (spin up / spin down) in eV: -8.084 / -8.720
LUMO level (spin up / spin down) in eV: 0.47 / 0.47

Structure (ORCA input):
```
! RIJCOSX wB97M-V def2-TZVPD def2/J DEFGRID3
* xyz 0 2
C 1.01259 -2.89597 -0.17011
C 0.58409 -1.79954 0.43731
C 0.74291 -0.40389 -0.09752
C -0.61696 0.19922 -0.59390
O -1.42308 -0.90434 -0.95102
C -2.81955 -0.75026 -1.07220
C -3.30545 0.07913 -2.26686
C -3.97417 1.38670 -1.84649
C -4.49949 2.24839 -3.00562
C -0.29364 1.09763 -1.79384
C 0.72274 2.24180 -1.51184
C 0.33633 3.44701 -2.42272
C 2.15903 1.88823 -1.89862
N 0.66185 2.69694 -0.09021
O 1.71216 2.53111 0.61668
C -0.62744 2.50626 0.62986
C -0.40799 2.82197 2.11126
C -1.68367 3.49933 0.12379
C -1.18395 1.05630 0.54165
H 0.54756 -3.85507 0.02343
H 1.82899 -2.88133 -0.88508
H 0.07984 -1.88402 1.39896
H 1.44113 -0.46861 -0.92825
H 1.12154 0.21359 0.71739
H -3.18526 -1.77115 -1.19097
H -3.27651 -0.38839 -0.14339
H -4.05144 -0.51444 -2.80047
H -2.48524 0.24658 -2.96755
H -4.81375 1.10786 -1.20242
H -3.28636 1.95333 -1.21170
H -5.58763 2.29784 -2.98334
H -4.15576 3.27104 -2.84752
H -4.16980 1.91219 -3.98332

As our boat sails east, and we shrink to ever-smaller size, the world around us changes. Most of the predictable laws governing the lands we travel turn out to be obeyed only on average, and electrons and the other objects we encounter are radically different from the features we are familiar with in the west.

For reasons connected with this, in ways which should become clearer during this voyage, the ability to see smaller and smaller pieces of matter requires particle beams – microscopes, effectively – of higher and higher energy. This means that the frontier of the very small also becomes the frontier of high-energy. The important point of high energy in particle physics is the concentration of the energy into a small space, or equivalently into a small number of particles. Because of this, a map of high energies and short distances also informs us about the physics of the very early universe: the hot, dense moments just after the Big Bang. In those first few moments, the energy in any given volume of space was so high that the smallest constituents of matter were laid bare.

To understand all of that, we first need to find out what inhabits this strange new world. What might we find inside an atom? For now, all we know is that the things we find will be very small, and that we need a lot of energy to access them. But where are we going? What strange seas are we sailing, and what laws, if any, apply? The place to start our first expedition is in the first relatively safe harbour we spot in the distance – Port Electron, on the strange shores of an unknown island.